Thank you, Minister, for being here to join us at our committee.
Unrelated to this article: materials data:
=====
Record 1
# meta-GGA r2SCAN CaSiBO5, optimized geometry
# Crystal system: monoclinic
# DFT formation energy, eV per atom: -2.77
# ρ, g/cm³: 2.96
data_CaSiBO5
_chemical_formula_sum 'Ca4 Si4 B4 O20'
_space_group_name_H-M_alt 'P 1'
_space_group_IT_number 1
_space_group_name_Hall 'P 1'
_cell_length_a 7.643
_cell_length_b 4.897
_cell_length_c 9.523
_cell_angle_alpha 88.64
_cell_angle_beta 90.00
_cell_angle_gamma 90.00
loop_
_atom_site_label
_atom_site_fract_x
_atom_site_fract_y
_atom_site_fract_z
B1 0.094 0.566 0.170
Si1 0.758 0.528 0.584
O1 0.101 0.265 0.192
B2 0.906 0.434 0.830
O2 0.165 0.694 0.298
B3 0.406 0.566 0.670
Ca1 0.113 0.997 0.669
O3 0.917 0.668 0.150
O4 0.897 0.765 0.548
B4 0.594 0.434 0.330
O5 0.601 0.735 0.308
O6 0.792 0.350 0.947
O7 0.835 0.306 0.702
O8 0.603 0.765 0.048
Si2 0.742 0.528 0.084
Si3 0.258 0.472 0.916
O9 0.335 0.694 0.798
O10 0.083 0.332 0.850
Ca2 0.613 0.003 0.831
O11 0.399 0.265 0.692
Si4 0.242 0.472 0.416
O12 0.417 0.332 0.350
O13 0.899 0.735 0.808
O14 0.103 0.235 0.452
O15 0.397 0.235 0.952
O16 0.292 0.650 0.553
Ca3 0.887 0.003 0.331
O17 0.583 0.668 0.650
O18 0.208 0.650 0.053
O19 0.665 0.306 0.202
Ca4 0.387 0.997 0.169
O20 0.708 0.350 0.447

***

Record 2
# meta-GGA r2SCAN Ca2B5Os3, optimized geometry
# Crystal system: monoclinic
# DFT formation energy, eV per atom: -0.45
# ρ, g/cm³: 8.35
data_Ca2B5Os3
_chemical_formula_sum 'Ca2 B5 Os3'
_space_group_name_H-M_alt 'P 1'
_space_group_IT_number 1
_space_group_name_Hall 'P 1'
_cell_length_a 4.054
_cell_length_b 5.618
_cell_length_c 6.947
_cell_angle_alpha 78.21
_cell_angle_beta 73.03
_cell_angle_gamma 68.84
loop_
_atom_site_label
_atom_site_fract_x
_atom_site_fract_y
_atom_site_fract_z
B1 0.476 0.939 0.120
B2 0.080 0.983 0.311
B3 0.536 0.061 0.879
Ca1 0.074 0.557 0.761
Os1 0.611 0.865 0.403
B4 0.374 0.017 0.689
Os2 0.011 0.000 0.000
Os3 0.879 0.135 0.597
B5 0.734 0.500 0.500
Ca2 0.392 0.443 0.239


Entry from Materials Project: an optimized crystal structure of Na6La4Si5Sn4S7O48 (PBE). Values from VASP.

Output
The total energy comes out at -6.61 eV/atom. The calculation puts the total magnetization at 0.00 μB per formula unit.

The structure in Quantum ESPRESSO input format:
```
&SYSTEM
  ibrav = 0, nat = 222, ntyp = 6
/
ATOMIC_SPECIES
O 16.00 O.upf
Si 28.09 Si.upf
La 138.91 La.upf
Na 22.99 Na.upf
S 32.06 S.upf
Sn 118.71 Sn.upf
ATOMIC_POSITIONS crystal
O 0.246 0.154 0.930
O 0.231 0.111 0.630
O 0.427 0.546 0.034
O 0.818 0.541 0.629
O 0.345 0.135 0.030
O 0.734 0.154 0.527
O 0.639 0.463 0.741
O 0.756 0.656 0.569
O 0.144 0.442 0.754
O 0.998 0.202 0.296
Si 0.641 0.287 0.748
O 0.955 0.365 0.632
O 0.924 0.022 0.808
O 0.670 0.870 0.972
O 0.416 0.855 0.592
O 0.415 0.314 0.249
La 0.171 0.666 0.314
La 0.668 0.659 0.811
Si 0.168 0.017 0.580
Na 0.193 0.656 0.160
O 0.271 0.855 0.738
O 0.426 0.528 0.746
O 0.558 0.666 0.362
La 0.823 0.308 0.685
S 0.356 0.003 0.741
Si 0.831 0.004 0.083
Na 0.500 0.626 0.252
S 0.860 0.715 0.241
Na 0.669 0.641 0.158
O 0.654 0.486 0.077
O 0.648 0.459 0.473
=====
I want to start by thanking you for the work you have been doing around anti-racism and all the work around the Canada disability benefit. I want to thank you for the work you have been doing, because I think we're in a place where we continue to build. We're part of a government that has brought forward new programs in a way we've never seen before.
Over the last 30 or 40 years, we haven't seen new national programs at this level being developed. I think establishing dental care, a national child care program, a student nutrition program and this historic benefit plan that you have brought forward is quite extraordinary. Thank you for the work you have been doing.
Today I want to talk about your work around anti-racism. I know the new strategy is being brought forward. You started off by saying that there was a lot learned during the last strategy. I would be interested in hearing about that, but before we get into that, I would like to just make a comment around where we are as a country when it comes to racism.
As you know, Minister, I did a lot of work in Ontario. I was the minister for anti-racism, where we put forward our own strategy. Back in 2015-16, we saw a drastic increase in online hate. I thought it was isolated specifically around that time period, but I have seen over the last several years a drastic increase in online hate and also in hate incidents in general.
It is our job as politicians to identify it and to track it and to collect the data—no data, no problem. That's why it's important for us to collect that information and to put in place anything we can do to mitigate the growth of that type of hate and stop it.
I want to thank you for the work you have been doing. You mentioned expanding the Decade for People of African Descent. I know that in my community, in the Black community in Toronto and across this country, there have been a lot of efforts made there. I just want to say thank you.
I also want to comment on one more piece before I ask you for a bit of those learnings and maybe go into a bit more detail around the strategy.
Last week we saw the Leader of the Opposition pull into a camp where there was an alt-right organization. That's what the major media have said. Up until this point, I haven't heard the Leader of the Opposition even comment on it. I do think it's important.
Yes, someone can stumble into a place. You can be in a place and realize, “Wait a minute; what am I doing here?”, and you can speak on that. You can speak to the issue and you can apologize for those actions, but I have heard nothing from the Leader of the Opposition.
I want you to reflect on why it is important for us to address racism head on and talk about these issues. What is this plan going to do to move us along as a country?
I think it's important for us, especially in this day and age, to stick together and build off of what made this country so successful. It was what you said at the beginning, which is that it's our choice to be inclusive.
I will turn it over to you, Minister, for comment.